/*
[1]
{
  "formula": "C9H19N3O",
  "method": "ωB97M-V with the def2-TZVPD basis set",
  "species": ["C", "C", "C", "N", "N", "N", "C", "C", "C", "H", "H", "H", "H", "H", "H", "H", "H", "H", "H", "H", "H", "H", "C", "C", "C", "O", "H", "H", "H", "H", "H", "H"],
  "positions_angstrom": [[0.273, -3.616, 0.243], [1.008, -2.235, 0.205], [0.078, -1.072, 0.339], [-0.168, -0.414, 1.409], [-1.185, 0.385, 1.308], [-1.612, 0.445, -0.064], [-2.990, 0.624, -0.446], [-3.495, 1.916, -0.032], [-0.846, -0.569, -0.795], [-0.654, -3.466, -0.303], [0.080, -3.965, 1.192], [0.802, -4.386, -0.257], [1.535, -2.059, -0.723], [1.793, -2.090, 1.000], [-1.306, 1.276, 1.688], [-3.626, -0.171, 0.120], [-3.105, 0.500, -1.511], [-3.182, 2.118, 1.029], [-2.843, 2.713, -0.468], [-4.486, 1.975, -0.308], [-0.389, -0.205, -1.680], [-1.575, -1.359, -1.067], [1.877, 2.335, 0.577], [2.631, 1.295, 0.135], [3.116, 0.890, -1.187], [3.109, 0.382, 1.070], [1.466, 3.198, -0.075], [1.440, 2.344, 1.504], [4.086, 1.455, -1.405], [3.008, -0.177, -1.485], [2.467, 1.312, -1.929], [2.690, 0.624, 1.916]],
  "atomic_forces_ev_per_a": [[0.348, 2.248, -2.007], [0.627, 0.375, 1.418], [-0.979, 0.763, -0.768], [2.202, -1.179, 1.193], [-3.453, -0.754, -1.969], [1.549, 0.608, -2.171], [-0.095, -3.068, 2.186], [3.505, 2.542, 1.464], [-1.497, -1.042, 2.250], [-0.295, -0.270, 0.065], [-0.557, -0.401, 2.283], [0.777, -0.620, -0.624], [0.161, -0.409, -0.499], [-0.773, -0.506, -0.628], [1.169, 1.203, 1.272], [0.613, 0.680, -1.112], [0.216, -0.310, -0.298], [-1.437, -0.456, -0.462], [-0.867, -0.374, -0.494], [-2.289, 0.809, 0.036], [0.766, 0.368, -0.802], [0.364, -0.167, -0.313], [0.321, 0.673, -4.355], [-0.630, 0.033, 2.286], [0.554, 1.459, -1.936], [-0.753, 0.458, 0.193], [0.940, -1.874, 0.718], [-0.415, -0.086, 2.476], [-0.774, -1.597, 0.271], [0.935, 0.519, 1.028], [-0.572, 0.702, -0.407], [0.340, -0.324, -0.294]],
  "nbo_charge": [-0.592, -0.441, 0.188, -0.224, -0.283, -0.325, -0.208, -0.606, -0.275, 0.199, 0.211, 0.208, 0.205, 0.237, 0.376, 0.151, 0.205, 0.195, 0.206, 0.216, 0.193, 0.164, -0.555, 0.343, -0.688, -0.691, 0.210, 0.192, 0.241, 0.242, 0.225, 0.480],
  "homo_ev": -7.121,
  "gap_ev": 7.981
}


[2]
{
  "formula": "C9H10NOP",
  "method": "ωB97M-V with the def2-TZVPD basis set",
  "species": ["C", "C", "C", "C", "C", "C", "C", "C", "C", "N", "O", "P", "H", "H", "H", "H", "H", "H", "H", "H", "H", "H"],
  "positions_angstrom": [[0.011, -2.965, -0.454], [-0.479, -2.521, -1.691], [0.424, -2.077, 0.515], [-0.569, -1.184, -1.938], [0.370, -0.691, 0.190], [-0.239, -0.179, -0.959], [1.345, 0.291, 0.893], [-0.471, 2.026, 1.678], [0.850, 1.652, 1.111], [-0.404, 1.085, -1.234], [-1.480, 2.447, 0.655], [-1.507, 2.263, -0.934], [0.093, -3.991, -0.036], [-0.764, -3.232, -2.562], [0.704, -2.502, 1.515], [-0.992, -0.969, -2.922], [1.643, -0.162, 1.814], [2.223, 0.436, 0.197], [-1.071, 1.350, 2.298], [-0.618, 3.004, 2.288], [1.553, 2.567, 1.036], [-0.621, 3.352, -1.461]],
  "atomic_forces_ev_per_a": [[-0.026, -1.289, 1.521], [0.019, -1.693, -1.095], [-0.427, 0.948, -0.430], [-0.576, 0.210, -0.384], [1.634, 0.490, 1.648], [-0.225, -3.359, -0.695], [-0.408, -0.046, -1.505], [-1.657, 2.188, 0.703], [-0.205, 2.597, 0.572], [-0.299, 2.665, -0.717], [-0.828, 0.106, -0.006], [2.040, -0.064, -0.191], [-0.391, 0.339, -1.372], [0.507, 1.103, 1.875], [0.127, 0.936, -1.122], [0.211, 0.735, 0.412], [0.570, -0.348, 0.737], [-0.604, -0.620, 0.877], [0.738, -0.782, -0.417], [1.654, -1.507, -0.705], [-1.053, -1.842, -0.209], [-0.800, -0.767, 0.503]],
  "nbo_charge": [-0.235, -0.218, -0.206, -0.203, -0.027, 0.116, -0.508, -0.176, -0.056, -0.770, -0.854, 1.224, 0.217, 0.223, 0.222, 0.220, 0.238, 0.241, 0.207, 0.219, 0.207, -0.083],
  "homo_ev": [-8.067, -7.830],
  "gap_ev": [6.745, 7.466]
}


[3]
{
  "formula": "C2H12O3S",
  "method": "ωB97M-V with the def2-TZVPD basis set",
  "species": ["C", "C", "S", "H", "H", "H", "H", "H", "H", "O", "H", "H", "O", "H", "H", "O", "H", "H"],
*/

Print the listing above with every line break kept.

[1]
{
  "formula": "C9H19N3O",
  "method": "ωB97M-V with the def2-TZVPD basis set",
  "species": ["C", "C", "C", "N", "N", "N", "C", "C", "C", "H", "H", "H", "H", "H", "H", "H", "H", "H", "H", "H", "H", "H", "C", "C", "C", "O", "H", "H", "H", "H", "H", "H"],
  "positions_angstrom": [[0.273, -3.616, 0.243], [1.008, -2.235, 0.205], [0.078, -1.072, 0.339], [-0.168, -0.414, 1.409], [-1.185, 0.385, 1.308], [-1.612, 0.445, -0.064], [-2.990, 0.624, -0.446], [-3.495, 1.916, -0.032], [-0.846, -0.569, -0.795], [-0.654, -3.466, -0.303], [0.080, -3.965, 1.192], [0.802, -4.386, -0.257], [1.535, -2.059, -0.723], [1.793, -2.090, 1.000], [-1.306, 1.276, 1.688], [-3.626, -0.171, 0.120], [-3.105, 0.500, -1.511], [-3.182, 2.118, 1.029], [-2.843, 2.713, -0.468], [-4.486, 1.975, -0.308], [-0.389, -0.205, -1.680], [-1.575, -1.359, -1.067], [1.877, 2.335, 0.577], [2.631, 1.295, 0.135], [3.116, 0.890, -1.187], [3.109, 0.382, 1.070], [1.466, 3.198, -0.075], [1.440, 2.344, 1.504], [4.086, 1.455, -1.405], [3.008, -0.177, -1.485], [2.467, 1.312, -1.929], [2.690, 0.624, 1.916]],
  "atomic_forces_ev_per_a": [[0.348, 2.248, -2.007], [0.627, 0.375, 1.418], [-0.979, 0.763, -0.768], [2.202, -1.179, 1.193], [-3.453, -0.754, -1.969], [1.549, 0.608, -2.171], [-0.095, -3.068, 2.186], [3.505, 2.542, 1.464], [-1.497, -1.042, 2.250], [-0.295, -0.270, 0.065], [-0.557, -0.401, 2.283], [0.777, -0.620, -0.624], [0.161, -0.409, -0.499], [-0.773, -0.506, -0.628], [1.169, 1.203, 1.272], [0.613, 0.680, -1.112], [0.216, -0.310, -0.298], [-1.437, -0.456, -0.462], [-0.867, -0.374, -0.494], [-2.289, 0.809, 0.036], [0.766, 0.368, -0.802], [0.364, -0.167, -0.313], [0.321, 0.673, -4.355], [-0.630, 0.033, 2.286], [0.554, 1.459, -1.936], [-0.753, 0.458, 0.193], [0.940, -1.874, 0.718], [-0.415, -0.086, 2.476], [-0.774, -1.597, 0.271], [0.935, 0.519, 1.028], [-0.572, 0.702, -0.407], [0.340, -0.324, -0.294]],
  "nbo_charge": [-0.592, -0.441, 0.188, -0.224, -0.283, -0.325, -0.208, -0.606, -0.275, 0.199, 0.211, 0.208, 0.205, 0.237, 0.376, 0.151, 0.205, 0.195, 0.206, 0.216, 0.193, 0.164, -0.555, 0.343, -0.688, -0.691, 0.210, 0.192, 0.241, 0.242, 0.225, 0.480],
  "homo_ev": -7.121,
  "gap_ev": 7.981
}


[2]
{
  "formula": "C9H10NOP",
  "method": "ωB97M-V with the def2-TZVPD basis set",
  "species": ["C", "C", "C", "C", "C", "C", "C", "C", "C", "N", "O", "P", "H", "H", "H", "H", "H", "H", "H", "H", "H", "H"],
  "positions_angstrom": [[0.011, -2.965, -0.454], [-0.479, -2.521, -1.691], [0.424, -2.077, 0.515], [-0.569, -1.184, -1.938], [0.370, -0.691, 0.190], [-0.239, -0.179, -0.959], [1.345, 0.291, 0.893], [-0.471, 2.026, 1.678], [0.850, 1.652, 1.111], [-0.404, 1.085, -1.234], [-1.480, 2.447, 0.655], [-1.507, 2.263, -0.934], [0.093, -3.991, -0.036], [-0.764, -3.232, -2.562], [0.704, -2.502, 1.515], [-0.992, -0.969, -2.922], [1.643, -0.162, 1.814], [2.223, 0.436, 0.197], [-1.071, 1.350, 2.298], [-0.618, 3.004, 2.288], [1.553, 2.567, 1.036], [-0.621, 3.352, -1.461]],
  "atomic_forces_ev_per_a": [[-0.026, -1.289, 1.521], [0.019, -1.693, -1.095], [-0.427, 0.948, -0.430], [-0.576, 0.210, -0.384], [1.634, 0.490, 1.648], [-0.225, -3.359, -0.695], [-0.408, -0.046, -1.505], [-1.657, 2.188, 0.703], [-0.205, 2.597, 0.572], [-0.299, 2.665, -0.717], [-0.828, 0.106, -0.006], [2.040, -0.064, -0.191], [-0.391, 0.339, -1.372], [0.507, 1.103, 1.875], [0.127, 0.936, -1.122], [0.211, 0.735, 0.412], [0.570, -0.348, 0.737], [-0.604, -0.620, 0.877], [0.738, -0.782, -0.417], [1.654, -1.507, -0.705], [-1.053, -1.842, -0.209], [-0.800, -0.767, 0.503]],
  "nbo_charge": [-0.235, -0.218, -0.206, -0.203, -0.027, 0.116, -0.508, -0.176, -0.056, -0.770, -0.854, 1.224, 0.217, 0.223, 0.222, 0.220, 0.238, 0.241, 0.207, 0.219, 0.207, -0.083],
  "homo_ev": [-8.067, -7.830],
  "gap_ev": [6.745, 7.466]
}


[3]
{
  "formula": "C2H12O3S",
  "method": "ωB97M-V with the def2-TZVPD basis set",
  "species": ["C", "C", "S", "H", "H", "H", "H", "H", "H", "O", "H", "H", "O", "H", "H", "O", "H", "H"],